<<<
<P>
Material: Nd5Bi4Se
Method: DFT, PBE-GGA
State: relaxed

Cell lengths 4.550, 4.550, 32.042 Å; angles 90.00, 90.00, 90.00 degrees
Space group I4/mmm (No. 139)
One atom of each set of equivalent atoms:
Nd 0.000 0.000 0.000 [2 per cell]
Nd 0.000 0.000 0.201 [4 per cell]
Nd 0.000 0.000 0.405 [4 per cell]
Bi 0.000 0.000 0.099 [4 per cell]
Bi 0.000 0.000 0.302 [4 per cell]
Se 0.000 0.000 0.500 [2 per cell]

Total magnetic moment (μB/cell): 0.0
DOS at the Fermi energy (states/eV per atom): 0.254


<Q>
Material: Nd5Bi4Se
Method: DFT, PBE-GGA
State: relaxed

Cell lengths 10.142, 10.142, 6.440 Å; angles 90.00, 90.00, 90.00 degrees
Space group I4/m (No. 87)
One atom of each set of equivalent atoms:
Nd 0.000 0.000 0.000 [2 per cell]
Nd 0.099 0.290 0.500 [8 per cell]
Bi 0.096 0.301 0.000 [8 per cell]
Se 0.000 0.000 0.500 [2 per cell]

Total magnetic moment (μB/cell): 0.0
DOS at the Fermi energy (states/eV per atom): 0.269


Need the numbers? Relative energies in meV/atom: <P> 12; <Q> 0.


<P>
Material: NdBiSe3
Method: DFT, PBE-GGA
State: relaxed

Cell lengths 8.305, 4.186, 8.438 Å; angles 90.00, 91.53, 90.00 degrees
Space group P2_1/m (No. 11)
One atom of each set of equivalent atoms:
Nd 0.117 0.250 0.283 [2 per cell]
Bi 0.349 0.750 0.833 [2 per cell]
Se 0.116 0.250 0.900 [2 per cell]
Se 0.183 0.750 0.522 [2 per cell]
Se 0.379 0.750 0.174 [2 per cell]

Total magnetic moment (μB/cell): 0.0


<Q>
Material: NdBiSe3
Method: DFT, PBE-GGA
State: relaxed

Cell lengths 16.159, 4.497, 9.352 Å; angles 90.00, 119.92, 90.00 degrees
Space group C2/m (No. 12)
One atom of each set of equivalent atoms:
Nd 0.119 0.000 0.276 [4 per cell]
Bi 0.145 0.500 0.768 [4 per cell]
Se 0.053 0.500 0.388 [4 per cell]
Se 0.118 0.000 0.951 [4 per cell]
Se 0.238 0.000 0.659 [4 per cell]

Total magnetic moment (μB/cell): 0.0


Need the numbers? Relative energies in meV/atom: <P> 0; <Q> 69.


<P>
Material: Nd2Sm2Bi3
Method: DFT, PBE-GGA
State: relaxed

Cell lengths 14.718, 4.566, 7.687 Å; angles 90.00, 99.28, 90.00 degrees
Space group C2/m (No. 12)
One atom of each set of equivalent atoms:
Nd 0.124 0.000 0.363 [4 per cell]
Sm 0.120 0.500 0.883 [4 per cell]
Bi 0.000 0.500 0.500 [2 per cell]
Bi 0.242 0.000 0.753 [4 per cell]

Total magnetic moment (μB/cell): 0.0
DOS at the Fermi energy (states/eV per atom): 0.531


<Q>
Material: Nd2Sm2Bi3
Method: DFT, PBE-GGA
State: relaxed

Cell lengths 9.639, 9.639, 9.639 Å; angles 90.00, 90.00, 90.00 degrees
Space group I2_13 (No. 199)
One atom of each set of equivalent atoms:
Nd 0.177 0.177 0.177 [8 per cell]
Sm 0.071 0.429 0.571 [8 per cell]
Bi 0.000 0.250 0.872 [12 per cell]

Total magnetic moment (μB/cell): 0.0
DOS at the Fermi energy (states/eV per atom): 1.175


Need the numbers? Relative energies in meV/atom: <P> 151; <Q> 0.


<P>
Material: Nd4SnBi2
Method: DFT, PBE-GGA
State: relaxed

Cell lengths 9.870, 14.270, 14.288 Å; angles 90.00, 90.00, 90.00 degrees
Space group Fddd (No. 70, origin choice 2)
One atom of each set of equivalent atoms:
Nd 0.063 0.280 0.470 [32 per cell]
Sn 0.125 0.125 0.625 [8 per cell]
Bi 0.000 0.000 0.000 [16 per cell]

Total magnetic moment (μB/cell): 0.4
DOS at the Fermi energy (states/eV per atom): 1.052


<Q>
Material: Nd4SnBi2
Method: DFT, PBE-GGA
State: relaxed

Cell lengths 9.647, 9.647, 9.701 Å; angles 90.00, 90.00, 90.00 degrees
Space group I-42d (No. 122)
One atom of each set of equivalent atoms:
Nd 0.070 0.681 0.450 [16 per cell]
Sn 0.000 0.000 0.500 [4 per cell]
Bi 0.122 0.750 0.125 [8 per cell]

Total magnetic moment (μB/cell): 0.0
DOS at the Fermi energy (states/eV per atom): 1.117


Need the numbers? Relative energies in meV/atom: <P> 179; <Q> 0.

=====

The following is a GGA-PBE calculation of a relaxed structure of CaOs3Cl, from the Alexandria database.

Results
energy relative to the lowest polymorph listed for this composition: 1928 meV/atom
formation energy (no corrections): 17.0 eV per formula unit

Cell lengths 4.988, 4.988, 4.988 Å; angles 90.00, 90.00, 90.00 degrees
>>>

The reader should search the rows earlier on for the word "this" and write out each line that has it.

energy relative to the lowest polymorph listed for this composition: 1928 meV/atom